_Material_
/*
[1]
# NaRu2O4 (meta-GGA r2SCAN, relaxed)
data_NaRu2O4
_cell_length_a 9.390
_cell_length_b 2.778
_cell_length_c 11.168
_cell_angle_alpha 90.00
_cell_angle_beta 90.00
_cell_angle_gamma 90.00
_symmetry_space_group_name_H-M 'P n m a'
_symmetry_Int_Tables_number 62
_symmetry_space_group_name_Hall '-P 2ac 2n'
loop_
_atom_site_label
_atom_site_type_symbol
_atom_site_fract_x
_atom_site_fract_y
_atom_site_fract_z
_atom_site_occupancy
Na1 Na 0.241 0.250 0.156 1
Ru1 Ru 0.060 0.250 0.383 1
Ru2 Ru 0.085 0.250 0.895 1
O1 O 0.028 0.750 0.778 1
O2 O 0.086 0.250 0.563 1
O3 O 0.111 0.750 0.027 1
O4 O 0.209 0.750 0.339 1
# energy of formation: -1.30 eV per atom

[2]
# Na2S2O7 (meta-GGA r2SCAN, relaxed)
data_Na2S2O7
_cell_length_a 6.719
_cell_length_b 6.770
_cell_length_c 6.808
_cell_angle_alpha 83.72
_cell_angle_beta 63.19
_cell_angle_gamma 83.46
_symmetry_space_group_name_H-M 'P -1'
_symmetry_Int_Tables_number 2
_symmetry_space_group_name_Hall '-P 1'
loop_
_atom_site_label
_atom_site_type_symbol
_atom_site_fract_x
_atom_site_fract_y
_atom_site_fract_z
_atom_site_occupancy
Na1 Na 0.117 0.166 0.257 1
Na2 Na 0.274 0.363 0.676 1
S1 S 0.232 0.659 0.249 1
S2 S 0.359 0.861 0.812 1
O1 O 0.082 0.829 0.350 1
O2 O 0.116 0.509 0.213 1
O3 O 0.209 0.742 0.786 1
O4 O 0.263 0.055 0.892 1
O5 O 0.376 0.582 0.350 1
O6 O 0.415 0.740 0.010 1
O7 O 0.417 0.141 0.364 1
# energy of formation: -1.77 eV per atom

[3]
# Na2Sb4O7 (meta-GGA r2SCAN, relaxed)
data_Na2Sb4O7
_cell_length_a 11.124
_cell_length_b 16.770
_cell_length_c 5.674
_cell_angle_alpha 90.00
_cell_angle_beta 118.15
_cell_angle_gamma 90.00
_symmetry_space_group_name_H-M 'C 1 2/c 1'
_symmetry_Int_Tables_number 15
_symmetry_space_group_name_Hall '-C 2yc'
loop_
_atom_site_label
_atom_site_type_symbol
_atom_site_fract_x
_atom_site_fract_y
_atom_site_fract_z
_atom_site_occupancy
Na1 Na 0.084 0.091 0.079 1
Sb1 Sb 0.140 0.243 0.678 1
Sb2 Sb 0.205 0.431 0.260 1
O1 O 0.000 0.192 0.750 1
O2 O 0.138 0.133 0.497 1
O3 O 0.201 0.315 0.036 1
O4 O 0.203 0.014 0.915 1
# energy of formation: -1.61 eV per atom

[4]
# NaSbO2 (meta-GGA r2SCAN, relaxed)
data_NaSbO2
_cell_length_a 4.789
_cell_length_b 19.764
_cell_length_c 6.140
_cell_angle_alpha 90.00
_cell_angle_beta 90.00
_cell_angle_gamma 90.00
_symmetry_space_group_name_H-M 'P b c a'
_symmetry_Int_Tables_number 61
_symmetry_space_group_name_Hall '-P 2ac 2ab'
loop_
_atom_site_label
_atom_site_type_symbol
_atom_site_fract_x
_atom_site_fract_y
_atom_site_fract_z
_atom_site_occupancy
Na1 Na 0.220 0.206 0.076 1
Sb1 Sb 0.244 0.095 0.548 1
O1 O 0.146 0.108 0.862 1
O2 O 0.209 0.186 0.448 1
# energy of formation: -1.66 eV per atom

[5]
# NaSb5O8 (meta-GGA r2SCAN, relaxed)
data_NaSb5O8
_cell_length_a 7.170
_cell_length_b 7.366
_cell_length_c 9.696
_cell_angle_alpha 73.81
_cell_angle_beta 73.64
_cell_angle_gamma 85.32
_symmetry_space_group_name_H-M 'P -1'
_symmetry_Int_Tables_number 2
_symmetry_space_group_name_Hall '-P 1'
loop_
_atom_site_label
_atom_site_type_symbol
_atom_site_fract_x
_atom_site_fract_y
_atom_site_fract_z
_atom_site_occupancy
Na1 Na 0.249 0.434 0.466 1
Sb1 Sb 0.036 0.397 0.169 1
Sb2 Sb 0.042 0.825 0.224 1
Sb3 Sb 0.247 0.939 0.473 1
Sb4 Sb 0.393 0.237 0.835 1
Sb5 Sb 0.469 0.694 0.841 1
O1 O 0.003 0.894 0.420 1
O2 O 0.042 0.553 0.317 1
O3 O 0.058 0.359 0.940 1
O4 O 0.255 0.183 0.702 1
O5 O 0.313 0.192 0.337 1
O6 O 0.324 0.457 0.074 1
O7 O 0.350 0.806 0.304 1
O8 O 0.434 0.512 0.734 1
# energy of formation: -1.53 eV per atom

[6]
# NaSb5O13 (meta-GGA r2SCAN, relaxed)
data_NaSb5O13
_cell_length_a 16.538
_cell_length_b 8.915
_cell_length_c 6.596
_cell_angle_alpha 90.00
_cell_angle_beta 90.00
_cell_angle_gamma 90.00
_symmetry_space_group_name_H-M 'A m a 2'
_symmetry_Int_Tables_number 40
_symmetry_space_group_name_Hall 'A 2 -2a'
loop_
_atom_site_label
_atom_site_type_symbol
_atom_site_fract_x
_atom_site_fract_y
_atom_site_fract_z
_atom_site_occupancy
Na1 Na 0.250 0.127 0.000 1
Sb1 Sb 0.000 0.000 0.001 1
Sb2 Sb 0.079 0.385 0.001 1
Sb3 Sb 0.139 0.268 0.501 1
*/

_Exercise_
Copy everything above verbatim.

_Done_
[1]
# NaRu2O4 (meta-GGA r2SCAN, relaxed)
data_NaRu2O4
_cell_length_a 9.390
_cell_length_b 2.778
_cell_length_c 11.168
_cell_angle_alpha 90.00
_cell_angle_beta 90.00
_cell_angle_gamma 90.00
_symmetry_space_group_name_H-M 'P n m a'
_symmetry_Int_Tables_number 62
_symmetry_space_group_name_Hall '-P 2ac 2n'
loop_
_atom_site_label
_atom_site_type_symbol
_atom_site_fract_x
_atom_site_fract_y
_atom_site_fract_z
_atom_site_occupancy
Na1 Na 0.241 0.250 0.156 1
Ru1 Ru 0.060 0.250 0.383 1
Ru2 Ru 0.085 0.250 0.895 1
O1 O 0.028 0.750 0.778 1
O2 O 0.086 0.250 0.563 1
O3 O 0.111 0.750 0.027 1
O4 O 0.209 0.750 0.339 1
# energy of formation: -1.30 eV per atom

[2]
# Na2S2O7 (meta-GGA r2SCAN, relaxed)
data_Na2S2O7
_cell_length_a 6.719
_cell_length_b 6.770
_cell_length_c 6.808
_cell_angle_alpha 83.72
_cell_angle_beta 63.19
_cell_angle_gamma 83.46
_symmetry_space_group_name_H-M 'P -1'
_symmetry_Int_Tables_number 2
_symmetry_space_group_name_Hall '-P 1'
loop_
_atom_site_label
_atom_site_type_symbol
_atom_site_fract_x
_atom_site_fract_y
_atom_site_fract_z
_atom_site_occupancy
Na1 Na 0.117 0.166 0.257 1
Na2 Na 0.274 0.363 0.676 1
S1 S 0.232 0.659 0.249 1
S2 S 0.359 0.861 0.812 1
O1 O 0.082 0.829 0.350 1
O2 O 0.116 0.509 0.213 1
O3 O 0.209 0.742 0.786 1
O4 O 0.263 0.055 0.892 1
O5 O 0.376 0.582 0.350 1
O6 O 0.415 0.740 0.010 1
O7 O 0.417 0.141 0.364 1
# energy of formation: -1.77 eV per atom

[3]
# Na2Sb4O7 (meta-GGA r2SCAN, relaxed)
data_Na2Sb4O7
_cell_length_a 11.124
_cell_length_b 16.770
_cell_length_c 5.674
_cell_angle_alpha 90.00
_cell_angle_beta 118.15
_cell_angle_gamma 90.00
_symmetry_space_group_name_H-M 'C 1 2/c 1'
_symmetry_Int_Tables_number 15
_symmetry_space_group_name_Hall '-C 2yc'
loop_
_atom_site_label
_atom_site_type_symbol
_atom_site_fract_x
_atom_site_fract_y
_atom_site_fract_z
_atom_site_occupancy
Na1 Na 0.084 0.091 0.079 1
Sb1 Sb 0.140 0.243 0.678 1
Sb2 Sb 0.205 0.431 0.260 1
O1 O 0.000 0.192 0.750 1
O2 O 0.138 0.133 0.497 1
O3 O 0.201 0.315 0.036 1
O4 O 0.203 0.014 0.915 1
# energy of formation: -1.61 eV per atom

[4]
# NaSbO2 (meta-GGA r2SCAN, relaxed)
data_NaSbO2
_cell_length_a 4.789
_cell_length_b 19.764
_cell_length_c 6.140
_cell_angle_alpha 90.00
_cell_angle_beta 90.00
_cell_angle_gamma 90.00
_symmetry_space_group_name_H-M 'P b c a'
_symmetry_Int_Tables_number 61
_symmetry_space_group_name_Hall '-P 2ac 2ab'
loop_
_atom_site_label
_atom_site_type_symbol
_atom_site_fract_x
_atom_site_fract_y
_atom_site_fract_z
_atom_site_occupancy
Na1 Na 0.220 0.206 0.076 1
Sb1 Sb 0.244 0.095 0.548 1
O1 O 0.146 0.108 0.862 1
O2 O 0.209 0.186 0.448 1
# energy of formation: -1.66 eV per atom

[5]
# NaSb5O8 (meta-GGA r2SCAN, relaxed)
data_NaSb5O8
_cell_length_a 7.170
_cell_length_b 7.366
_cell_length_c 9.696
_cell_angle_alpha 73.81
_cell_angle_beta 73.64
_cell_angle_gamma 85.32
_symmetry_space_group_name_H-M 'P -1'
_symmetry_Int_Tables_number 2
_symmetry_space_group_name_Hall '-P 1'
loop_
_atom_site_label
_atom_site_type_symbol
_atom_site_fract_x
_atom_site_fract_y
_atom_site_fract_z
_atom_site_occupancy
Na1 Na 0.249 0.434 0.466 1
Sb1 Sb 0.036 0.397 0.169 1
Sb2 Sb 0.042 0.825 0.224 1
Sb3 Sb 0.247 0.939 0.473 1
Sb4 Sb 0.393 0.237 0.835 1
Sb5 Sb 0.469 0.694 0.841 1
O1 O 0.003 0.894 0.420 1
O2 O 0.042 0.553 0.317 1
O3 O 0.058 0.359 0.940 1
O4 O 0.255 0.183 0.702 1
O5 O 0.313 0.192 0.337 1
O6 O 0.324 0.457 0.074 1
O7 O 0.350 0.806 0.304 1
O8 O 0.434 0.512 0.734 1
# energy of formation: -1.53 eV per atom

[6]
# NaSb5O13 (meta-GGA r2SCAN, relaxed)
data_NaSb5O13
_cell_length_a 16.538
_cell_length_b 8.915
_cell_length_c 6.596
_cell_angle_alpha 90.00
_cell_angle_beta 90.00
_cell_angle_gamma 90.00
_symmetry_space_group_name_H-M 'A m a 2'
_symmetry_Int_Tables_number 40
_symmetry_space_group_name_Hall 'A 2 -2a'
loop_
_atom_site_label
_atom_site_type_symbol
_atom_site_fract_x
_atom_site_fract_y
_atom_site_fract_z
_atom_site_occupancy
Na1 Na 0.250 0.127 0.000 1
Sb1 Sb 0.000 0.000 0.001 1
Sb2 Sb 0.079 0.385 0.001 1
Sb3 Sb 0.139 0.268 0.501 1